........
{
  "formula": "C18H37O3P3Pb",
  "method": "wB97M-V/def2-TZVPD",
  "charge": 4,
  "homo_lumo_gap_ev": [5.0, 5.1],
  "e_lumo_ev": [-16.3, -16.2],
  "mol_weight_g_mol": 601.61,
  "species": ["P", "C", "H", "H", "H", "C", "H", "H", "H", "C", "H", "H", "H", "P", "C", "H", "H", "H", "C", "H", "H", "H", "C", "H", "H", "H", "P", "C", "H", "H", "H", "C", "H", "H", "H", "C", "H", "H", "H", "Pb", "C", "O", "C", "O", "C", "C", "C", "C", "C", "C", "H", "H", "H", "H", "H", "H", "C", "O", "H", "H", "H", "H"],
  "coordinates": [[-1.220, -0.566, -2.532], [-2.231, -2.077, -2.716], [-2.415, -2.117, -3.790], [-3.183, -1.978, -2.187], [-1.692, -2.972, -2.397], [-2.449, 0.657, -3.120], [-1.973, 1.613, -3.347], [-3.230, 0.801, -2.362], [-2.875, 0.191, -4.009], [0.005, -0.843, -3.854], [-0.604, -0.855, -4.758], [0.486, -1.812, -3.686], [0.752, -0.042, -3.877], [2.837, -0.948, 0.434], [3.176, -2.712, 0.705], [4.217, -2.708, 1.028], [3.061, -3.258, -0.234], [2.527, -3.124, 1.480], [4.037, -0.616, -0.903], [4.203, 0.456, -1.037], [3.680, -1.061, -1.839], [4.941, -1.125, -0.566], [3.503, -0.250, 1.984], [4.560, -0.513, 1.948], [3.016, -0.736, 2.835], [3.370, 0.835, 2.045], [-1.465, 0.837, 2.326], [-2.135, -0.398, 3.493], [-2.830, 0.185, 4.099], [-1.329, -0.798, 4.111], [-2.661, -1.203, 2.975], [-0.682, 1.979, 3.521], [-1.417, 2.057, 4.323], [-0.473, 2.944, 3.050], [0.247, 1.525, 3.887], [-3.044, 1.588, 1.772], [-3.463, 2.021, 2.680], [-3.710, 0.807, 1.391], [-2.897, 2.357, 1.009], [0.208, 0.157, -0.017], [0.520, -2.357, -0.878], [0.676, -3.387, -1.311], [0.384, -1.520, 2.030], [0.553, -2.192, 2.957], [1.263, 3.059, 0.577], [-0.046, 3.349, 0.122], [-0.401, 3.047, -1.205], [0.568, 2.554, -2.112], [1.866, 2.266, -1.649], [2.235, 2.567, -0.315], [1.542, 3.276, 1.619], [-0.735, 3.946, 0.749], [-1.424, 3.254, -1.555], [0.361, 2.540, -3.198], [2.615, 1.864, -2.348], [3.299, 2.569, -0.017], [-2.280, -2.564, 0.582], [-2.103, -1.137, 0.333], [-2.526, -3.091, -0.371], [-3.077, -2.627, 1.354], [-1.335, -2.968, 1.002], [-2.798, -0.745, -0.235]],
  "nbo_charge": [1.1209, -0.9518, 0.3048, 0.2638, 0.2650, -0.9414, 0.2748, 0.2664, 0.3027, -0.9517, 0.3043, 0.2716, 0.2706, 1.0302, -0.9461, 0.3029, 0.2726, 0.2642, -0.9386, 0.2712, 0.2718, 0.2998, -0.9497, 0.3018, 0.2693, 0.2676, 1.1721, -0.9464, 0.3040, 0.2714, 0.2662, -0.9486, 0.3049, 0.2717, 0.2734, -0.9492, 0.3049, 0.2686, 0.2674, 1.0746, 0.5030, -0.3906, 0.4986, -0.4018, -0.1692, -0.2463, -0.2325, -0.2187, -0.2263, -0.2431, 0.2498, 0.2706, 0.2591, 0.2698, 0.2608, 0.2716, -0.2575, -0.8051, 0.2218, 0.2351, 0.1917, 0.5070]
}

=====

{
  "formula": "C2H2EuO3",
  "method": "ωB97M-V/def2-TZVPD",
  "symbols": ["O", "C", "Eu", "H", "O", "C", "O", "H"],
  "xyz": [[1.423658, -0.633156, 0.112102], [0.159536, -0.818978, 0.307159], [2.231878, 1.507444, 0.111540], [-0.154784, -1.260946, 1.266228], [-0.034813, 1.608694, -0.498396], [-0.762331, 0.664998, -0.111524], [-1.715362, 0.084996, -0.718543], [-1.147782, -1.153052, -0.468563]],
  "forces_ev_per_angstrom": [[-4.7, -2.3, 0.1], [5.2, 5.1, 2.7], [1.2, 1.2, -0.1], [-0.2, -1.6, -0.5], [-2.6, -1.0, 2.1], [4.6, -2.1, -3.6], [-0.4, -3.0, 0.7], [-3.1, 3.6, -1.3]],
  "lowdin_spin": [-0.03, -0.04, 7.02, -0.03, 0.06, 0.07, -0.09, 0.03],
  "homo_ev": [-19.313, -19.850],
  "total_energy_ev": -27554.55328,
  "spin_multiplicity": 8,
  "homo_lumo_gap_ev": [6.78, 7.15],
  "fmax_ha_per_bohr": 0.1510,
  "charge": 2
}

***

{
  "formula": "C2H3I3O",
  "method": "ωB97M-V/def2-TZVPD",
  "symbols": ["I", "C", "C", "I", "H", "H", "O", "I", "H"],
  "xyz": [[0.510672, -0.789011, -2.524858], [-0.611010, 0.051698, -1.038179], [-0.161233, 1.101346, -0.385360], [-1.455814, 1.916480, 1.136594], [-1.672026, -0.209817, -0.911841], [0.805725, 1.595975, -0.242213], [0.471490, -1.443658, 0.881610], [2.136459, -0.488828, 1.373932], [-0.024263, -1.734184, 1.710316]],
........

Could you say how many lines of the data further up hold the word "fmax_ha_per_bohr", as a bare number?

1